== Brief ==
Your job: give back the calculation results further down from the line with "11.5993 160.53" to the end without altering anything.
== Contents ==
<<<
Entry from the Materials Project database: a relaxed structure of Sc9Ni5Ge8 (PBE).

Lattice parameters (Å, degrees): 11.5993 11.5993 11.5993 160.53 133.95 50.44
Closest atoms and distances in Å follow each position.
Sites, in units of the cell vectors:
Ge1 0.6873 0.5000 0.1873  2 Ni 2.60, 7 Sc 2.84-2.85
Ge2 0.5528 0.1906 0.3622  3 Ni 2.32-2.53, 1 Ge 2.50
Sc1 0.2791 0.0845 0.1946  5 Ge 2.70-2.85
Sc2 0.3916 0.3916 0.0000  6 Ge 2.84-2.90, 4 Ni 2.96-3.08
Ge3 0.4472 0.8094 0.6378  3 Ni 2.32-2.53, 1 Ge 2.50
Sc3 0.1101 0.9155 0.1946  5 Ge 2.70-2.85
Sc4 0.7209 0.9155 0.8054  5 Ge 2.70-2.85
Ge4 0.3127 0.5000 0.8127  2 Ni 2.60, 7 Sc 2.84-2.85
Ni1 0.5801 0.3052 0.2749  4 Ge 2.32-2.53
Ni2 0.4199 0.6948 0.7251  4 Ge 2.32-2.53
Ge5 0.8284 0.1906 0.6378  3 Ni 2.32-2.53, 1 Ge 2.50
Ge6 0.8671 0.3671 0.5000  2 Ni 2.42
Ge7 0.1716 0.8094 0.3622  3 Ni 2.32-2.53, 1 Ge 2.50
Sc5 0.0000 0.5000 0.5000  4 Ge 2.79-2.84
Ni3 0.0302 0.3052 0.7251  4 Ge 2.32-2.53
Sc6 0.8899 0.0845 0.8054  5 Ge 2.70-2.85
Ni4 0.4975 0.9975 0.5000  4 Ge 2.60
Sc7 0.7716 0.7716 0.0000  6 Ge 2.81-2.88, 6 Ni 2.92-2.97
Ge8 0.1329 0.6329 0.5000  2 Ni 2.42
Sc8 0.6084 0.6084 0.0000  6 Ge 2.84-2.90, 4 Ni 3.04-3.08
Ni5 0.9698 0.6948 0.2749  4 Ge 2.32-2.53
Sc9 0.2284 0.2284 0.0000  6 Ge 2.81-2.88, 6 Ni 2.92-2.97

Calculated values
- SG: Imm2 (44)
- ΔH_f (0 K): -0.7664 eV per atom


# Er3Ge2Rh2 PBE relaxed
# Symmetry: Pbcm, No. 57
# Energy of formation from the pure elements in kcal/mol of atoms: -21.552
# Total energy in eV per cell: -176.88
data_Er3Ge2Rh2
_cell_length_a 5.5418
_cell_length_b 7.8302
_cell_length_c 13.1646
_cell_angle_alpha 90.00
_cell_angle_beta 90.00
_cell_angle_gamma 90.00
_symmetry_space_group_name_H-M 'P 1'
_symmetry_Int_Tables_number 1
_symmetry_space_group_name_Hall 'P 1'
loop_
_atom_site_label
_atom_site_fract_x
_atom_site_fract_y
_atom_site_fract_z
_atom_site_occupancy
Er1 0.1353 0.2488 0.2500 1
Er2 0.1353 0.2512 0.7500 1
Er3 0.3523 0.6068 0.1008 1
Er4 0.3523 0.6068 0.3992 1
Er5 0.3523 0.8932 0.6008 1
Er6 0.3523 0.8932 0.8992 1
Er7 0.6477 0.1068 0.1008 1
Er8 0.6477 0.1068 0.3992 1
Er9 0.6477 0.3932 0.6008 1
Er10 0.6477 0.3932 0.8992 1
Er11 0.8647 0.7488 0.2500 1
Er12 0.8647 0.7512 0.7500 1
Ge1 0.1584 0.2500 0.0000 1
Ge2 0.1584 0.2500 0.5000 1
Ge3 0.3697 0.6091 0.7500 1
Ge4 0.3697 0.8909 0.2500 1
Ge5 0.6303 0.1091 0.7500 1
Ge6 0.6303 0.3909 0.2500 1
Ge7 0.8416 0.7500 0.0000 1
Ge8 0.8416 0.7500 0.5000 1
Rh1 0.1256 0.5361 0.5934 1
Rh2 0.1256 0.5361 0.9066 1
Rh3 0.1256 0.9639 0.0934 1
Rh4 0.1256 0.9639 0.4066 1
Rh5 0.8744 0.0361 0.5934 1
Rh6 0.8744 0.0361 0.9066 1
Rh7 0.8744 0.4639 0.0934 1
Rh8 0.8744 0.4639 0.4066 1
>>>
== Completed ==
Lattice parameters (Å, degrees): 11.5993 11.5993 11.5993 160.53 133.95 50.44
Closest atoms and distances in Å follow each position.
Sites, in units of the cell vectors:
Ge1 0.6873 0.5000 0.1873  2 Ni 2.60, 7 Sc 2.84-2.85
Ge2 0.5528 0.1906 0.3622  3 Ni 2.32-2.53, 1 Ge 2.50
Sc1 0.2791 0.0845 0.1946  5 Ge 2.70-2.85
Sc2 0.3916 0.3916 0.0000  6 Ge 2.84-2.90, 4 Ni 2.96-3.08
Ge3 0.4472 0.8094 0.6378  3 Ni 2.32-2.53, 1 Ge 2.50
Sc3 0.1101 0.9155 0.1946  5 Ge 2.70-2.85
Sc4 0.7209 0.9155 0.8054  5 Ge 2.70-2.85
Ge4 0.3127 0.5000 0.8127  2 Ni 2.60, 7 Sc 2.84-2.85
Ni1 0.5801 0.3052 0.2749  4 Ge 2.32-2.53
Ni2 0.4199 0.6948 0.7251  4 Ge 2.32-2.53
Ge5 0.8284 0.1906 0.6378  3 Ni 2.32-2.53, 1 Ge 2.50
Ge6 0.8671 0.3671 0.5000  2 Ni 2.42
Ge7 0.1716 0.8094 0.3622  3 Ni 2.32-2.53, 1 Ge 2.50
Sc5 0.0000 0.5000 0.5000  4 Ge 2.79-2.84
Ni3 0.0302 0.3052 0.7251  4 Ge 2.32-2.53
Sc6 0.8899 0.0845 0.8054  5 Ge 2.70-2.85
Ni4 0.4975 0.9975 0.5000  4 Ge 2.60
Sc7 0.7716 0.7716 0.0000  6 Ge 2.81-2.88, 6 Ni 2.92-2.97
Ge8 0.1329 0.6329 0.5000  2 Ni 2.42
Sc8 0.6084 0.6084 0.0000  6 Ge 2.84-2.90, 4 Ni 3.04-3.08
Ni5 0.9698 0.6948 0.2749  4 Ge 2.32-2.53
Sc9 0.2284 0.2284 0.0000  6 Ge 2.81-2.88, 6 Ni 2.92-2.97

Calculated values
- SG: Imm2 (44)
- ΔH_f (0 K): -0.7664 eV per atom


# Er3Ge2Rh2 PBE relaxed
# Symmetry: Pbcm, No. 57
# Energy of formation from the pure elements in kcal/mol of atoms: -21.552
# Total energy in eV per cell: -176.88
data_Er3Ge2Rh2
_cell_length_a 5.5418
_cell_length_b 7.8302
_cell_length_c 13.1646
_cell_angle_alpha 90.00
_cell_angle_beta 90.00
_cell_angle_gamma 90.00
_symmetry_space_group_name_H-M 'P 1'
_symmetry_Int_Tables_number 1
_symmetry_space_group_name_Hall 'P 1'
loop_
_atom_site_label
_atom_site_fract_x
_atom_site_fract_y
_atom_site_fract_z
_atom_site_occupancy
Er1 0.1353 0.2488 0.2500 1
Er2 0.1353 0.2512 0.7500 1
Er3 0.3523 0.6068 0.1008 1
Er4 0.3523 0.6068 0.3992 1
Er5 0.3523 0.8932 0.6008 1
Er6 0.3523 0.8932 0.8992 1
Er7 0.6477 0.1068 0.1008 1
Er8 0.6477 0.1068 0.3992 1
Er9 0.6477 0.3932 0.6008 1
Er10 0.6477 0.3932 0.8992 1
Er11 0.8647 0.7488 0.2500 1
Er12 0.8647 0.7512 0.7500 1
Ge1 0.1584 0.2500 0.0000 1
Ge2 0.1584 0.2500 0.5000 1
Ge3 0.3697 0.6091 0.7500 1
Ge4 0.3697 0.8909 0.2500 1
Ge5 0.6303 0.1091 0.7500 1
Ge6 0.6303 0.3909 0.2500 1
Ge7 0.8416 0.7500 0.0000 1
Ge8 0.8416 0.7500 0.5000 1
Rh1 0.1256 0.5361 0.5934 1
Rh2 0.1256 0.5361 0.9066 1
Rh3 0.1256 0.9639 0.0934 1
Rh4 0.1256 0.9639 0.4066 1
Rh5 0.8744 0.0361 0.5934 1
Rh6 0.8744 0.0361 0.9066 1
Rh7 0.8744 0.4639 0.0934 1
Rh8 0.8744 0.4639 0.4066 1